5:02 PM | link And here you thought she spent the day cleaning...
4:59 PM | link Let David protect your fine wood finishes.
4:57 PM | link Script? *blink* They had a script?
12:40 PM | link For sale: cheap! Autograph of a washed-up celebrity whose biggest claim to fame was having the lowest-rated TV show of all times. C'mon, it's only $3.00... won't somebody bid? Please?
12:32 PM | link Sadly, the sequel Mississippi Madam was a box office flop.
12:01 AM | link Well maybe they wouldn't have gone out of business if you hadn't stolen all those office supplies!
11:52 PM | link
"Oh Father, why hast thou forsaken me and left me in this hideous nightmare of a lamp?"
11:37 PM | link In an effort to appeal to the hip, trend-conscious youth of today, the Catholic Church announced it will replace the traditional communion wafers with hits of acid.
6:37 PM | link In this hectic world, it's comforting to know that people still pick up the telephone and communicate with each other.
2:47 PM | link "Gosh, Millie, I just love how you painted your bedroom! That color is really you!"
2:33 PM | link
Relax? How do you expect us to relax with you staring at us like that?!
2:19 PM | link This tramp has got to be the trashiest Barbie ever made! ... Any guesses on what she's doing to support herself now? Hint: Her arm is already raised to flag down cars!
2:00 PM | link Just another boy-meets-girl-meets-Martian story: "Tommy gets involved with his girlfriend on Mars and well-endowed Martian shows up and girlfriend freezes Tommy with ray gun and gets involved w/ Martian."
1:38 AM | link The perfect wig stand for those bad wig days.
1:33 AM | link For anyone who's ever dreamed of getting close to Rosie's ass.
1:07 AM | link Perfect for washing down a few fried baloney sandwiches and a handful of Vicodin.
1:03 AM | link
Smokey the Clown was a big hit at children's parties, especially when he did his famous cigarette trick.
12:57 AM | link "Eww, Mommy! Why can't I have peanut butter and jelly like all the other kids?"
12:52 AM | link Mrs. Cottontail always laughed when her friends asked whether her son Peter had any girlfriends. Just give him time, she told herself, and he'll grow out of this phase.
Wednesday, March 21, 2001 |
4:37 PM | link Y'know, we've been wondering what this internet thing is all about...
12:27 PM | link
Some skeletons are better left in the closet.
12:13 PM | link Must've been an ugly custody battle.
12:09 PM | link And remember, proceeds from this auction will help to defray the costs of Trene and Josh's relationship.
11:41 AM | link "Oh Mum, not steak & kidney pie again!"
(Thanks, Fred!)
12:05 AM | link "These are real M&M candies, not some cheap substitute!"
12:00 AM | link
"Breaker, breaker good buddy. This here's the Prophet of I-5, you gotcher ears on?"
11:48 PM | link What finer way to render a porn queen's best assets than with Play-doh?
(Thanks, Jesse!)
3:10 PM | link "The color of the two used queen size cotton flannel flats and pillow case are burgandy and the hair of four dogs really shows."
(Thanks, Sarah!)
3:07 PM | link As opposed to humiliating yourself on the Web...
(Thanks, Dawn!)
3:01 PM | link Dressing for Success, lesson 23: A necktie says a lot about a person, like "I'm a newbie" or "Charlton Heston is my hero."
(Thanks, Tom!)
1:13 PM | link "OK, now, in this next scene I want you to make a balloon animal shaped like Herman Goebbels."
1:34 AM | link
Are you worried about being struck by bits of the Russian space station Mir as it returns to Earth this week? We sure are -- which is why we're wearing protective headgear for the rest of the month.
1:23 AM | link For all you busy guys out there...
12:50 AM | link "Your wife, eh, does she like pictures, know what I mean, say no more, nudge-nudge?"
┌──
The following is a DFT calculation (ωB97M-V/def2-TZVPD) of C32H49F2InNO16 as an isolated structure.

```
101
Properties=species:S:1:pos:R:3:mulliken_charge:R:1
In 3.51187 -2.51559 -1.95687 1.494
F 0.71321 -1.85773 -3.30965 -0.289
F 5.31238 -3.29339 -1.30668 -0.776
O 4.63671 -6.63088 3.57473 -0.635
O -2.81383 1.18259 -2.33512 -0.386
O -3.46801 5.83725 -2.49010 -0.310
O -0.65429 -5.41509 -6.59538 -0.404
O 3.33875 0.60293 0.24578 -0.643
O 7.74576 -6.48653 7.38521 -0.371
O -0.47839 7.05545 -0.01621 -0.550
O -5.41848 6.04268 -1.38072 -0.615
O 4.70410 -4.74118 2.37167 -0.348
O -1.41535 0.00258 -1.02428 -0.532
O 3.23887 -3.20250 -3.88175 -0.899
O 8.52494 -8.16781 6.11304 -0.593
O -6.25580 2.24394 0.56276 -0.625
O -0.35110 -4.95225 -4.41516 -0.520
O -7.62073 3.40405 -0.79355 -0.357
O -2.05394 6.21680 1.35202 -0.270
N 3.69942 -0.35068 -1.92745 -0.688
C -8.66534 4.79816 0.78408 -0.533
C 0.16056 6.15466 2.14559 -0.513
C 5.64324 -4.09915 1.46912 -0.297
C -2.09663 5.69482 2.69376 -0.510
C -3.58696 2.39078 -2.19488 -0.444
C -7.02186 3.14886 0.39253 0.563
C 0.26808 -3.30198 -6.08716 -0.022
C -2.18997 0.90471 -1.16262 0.364
C 0.44388 -2.92620 -1.13133 -0.491
C -0.25805 -3.29261 -7.51903 -0.656
C -3.83981 2.53880 -0.70968 0.097
C -2.58466 1.92114 -0.10920 -0.481
C -3.69243 7.72326 -1.10588 -0.052
C 7.60532 -7.61621 6.64298 0.515
C -0.34619 -4.77514 -7.84057 -0.431
C 0.21425 -1.70580 -2.00730 -0.062
C 6.48384 -6.13017 7.97475 -0.443
C -4.32727 6.46546 -1.65608 0.460
C 3.51418 0.08065 -0.81575 0.667
C -2.20909 6.54687 -2.51839 -0.288
C 5.23995 -5.86638 2.86607 0.492
C -0.68983 5.19207 2.96840 -0.472
C -0.27632 -4.61234 -5.55683 0.527
C -8.38752 4.61865 -0.69974 -0.229
C 6.66217 -6.03541 2.36825 -0.290
C -7.42545 4.18553 1.41715 -0.374
C -0.77703 6.52991 1.01880 0.481
C -2.53810 7.95605 -2.06728 -0.674
C 5.43461 -6.80244 7.10593 -0.305
C 6.15723 -8.05940 6.64170 -0.328
C 1.87568 -3.07169 -0.56321 -1.229
C 7.00323 -4.63155 1.88293 -0.564
H -1.80039 6.51905 -3.52660 0.391
H 5.57349 -3.02008 1.57579 0.314
H -3.00608 3.22138 -2.60190 0.117
H 2.36205 -3.58895 -3.94615 0.283
H 1.35912 -3.33149 -6.05079 0.215
H -2.39069 6.50135 3.36969 0.285
H -2.83919 4.90150 2.74934 0.310
H -0.10556 -2.46280 -5.50883 0.063
H 7.73466 -4.60479 1.07762 0.324
H -6.61762 4.91221 1.51933 0.160
H -4.51278 2.29812 -2.75954 0.333
H 0.36948 -2.73869 -8.21609 0.358
H 5.20843 -6.17398 6.24313 0.046
H 0.08901 -3.81144 -1.67290 0.275
H -0.57570 4.17900 2.57933 0.232
H 0.58594 -0.77695 -1.57699 0.140
H -1.69173 8.47333 -1.62485 0.328
H -2.78219 1.43538 0.84333 0.325
H 7.31831 -6.36190 3.17251 0.206
H 4.50151 -6.99726 7.63224 0.367
H -9.54689 4.22021 1.06992 0.273
H -3.34385 7.52342 -0.09455 -0.094
H 5.38606 -4.36414 0.44639 0.225
H -9.30428 4.51844 -1.27787 0.342
H -2.88936 8.54840 -2.91622 0.336
H 6.46677 -6.49421 9.00573 0.246
H -0.24845 -2.81049 -0.28104 0.354
H -8.83943 5.83558 1.06558 0.339
H -4.01476 3.57078 -0.40411 0.196
H 6.38269 -5.04671 7.98404 0.340
H 6.66680 -6.76235 1.55459 0.282
└──
12:44 AM | link Louise was excited when Sean told her he'd bought her a special garment to wear to bed that night.
12:28 AM | link
"If you like your mannequins serious, this one is not for you."
12:17 AM | link Nine out of 10 focus groups responded positively to proposed improvements in our product line.
12:07 AM | link "What?"
"Ah thaid, thtop thtahing at me, bith!"
12:04 AM | link Gosh, we can't understand why such a classy domain name didn't receive a single bid.
7:46 PM | link "Today's sermon begins with a reading from the Book of Jon."
7:42 PM | link We can't claim to understand this seller's fondness for faux foodstuffs, but geez, couldn't they at least have picked better looking produce?